Retype the data underneath from the first line to the one with "0.522 0.143" verbatim.

<<<
1.
# NaYNbP3O12

A relaxed structure of NaYNbP3O12 (PBE-GGA, the Materials Project database).

Cell: 9.012 9.012 23.198 Å, 90.00 90.00 120.00°
Atoms (fractional coordinates):
O 0.190 0.046 0.589
O 0.834 0.301 0.529
O 0.522 0.379 0.422
O 0.366 0.867 0.863
O 0.134 0.670 0.077
Y 0.333 0.667 0.521
O 0.856 0.046 0.089
P 0.016 0.300 0.251
O 0.470 0.129 0.637
O 0.992 0.196 0.304
O 0.470 0.341 0.137
O 0.871 0.530 0.137
O 0.204 0.196 0.804
P 0.700 0.984 0.751
O 0.857 0.379 0.922
P 0.033 0.382 0.917
P 0.285 0.300 0.751
O 0.501 0.634 0.863
O 0.190 0.144 0.089
O 0.992 0.796 0.804
P 0.700 0.715 0.251
O 0.330 0.866 0.577
O 0.287 0.811 0.256
O 0.997 0.797 0.411
O 0.536 0.866 0.077
O 0.189 0.476 0.256
P 0.349 0.967 0.917
O 0.997 0.200 0.911
Nb 0.667 0.333 0.981
O 0.203 0.200 0.411
Na 0.000 0.000 0.997
O 0.538 0.863 0.471
P 0.618 0.651 0.917
Na 0.333 0.667 0.164
P 0.349 0.382 0.417
P 0.016 0.715 0.751
O 0.954 0.810 0.089
O 0.869 0.336 0.244
Na 0.000 0.000 0.497
O 0.800 0.003 0.411
O 0.203 0.003 0.911
P 0.951 0.634 0.084
O 0.325 0.462 0.471
O 0.466 0.301 0.029
Nb 0.333 0.667 0.315
O 0.800 0.797 0.911
O 0.467 0.336 0.744
O 0.856 0.810 0.589
O 0.501 0.867 0.363
O 0.621 0.478 0.922
Y 0.000 0.000 0.855
Y 0.333 0.667 0.021
Y 0.667 0.333 0.688
O 0.133 0.499 0.863
O 0.799 0.832 0.196
O 0.699 0.534 0.529
Nb 0.333 0.667 0.815
O 0.954 0.144 0.589
Na 0.667 0.333 0.330
O 0.366 0.499 0.363
O 0.871 0.341 0.637
P 0.033 0.651 0.417
O 0.168 0.967 0.196
O 0.664 0.131 0.744
O 0.804 0.796 0.304
Nb 0.000 0.000 0.648
O 0.659 0.129 0.137
O 0.033 0.201 0.196
O 0.857 0.478 0.422
O 0.869 0.533 0.744
Y 0.000 0.000 0.355
Nb 0.667 0.333 0.481
O 0.524 0.811 0.756
O 0.834 0.534 0.029
O 0.699 0.166 0.029
Na 0.667 0.333 0.830
O 0.799 0.967 0.696
O 0.538 0.675 0.971
P 0.618 0.967 0.417
O 0.621 0.143 0.422
O 0.522 0.143 0.922
O 0.287 0.476 0.756
P 0.682 0.049 0.084
O 0.168 0.201 0.696
O 0.325 0.863 0.971
Nb 0.000 0.000 0.148
P 0.366 0.318 0.084
O 0.664 0.533 0.244
O 0.536 0.670 0.577
O 0.330 0.464 0.077
P 0.285 0.984 0.251
O 0.659 0.530 0.637
O 0.466 0.166 0.529
O 0.189 0.713 0.756
O 0.133 0.634 0.363
O 0.524 0.713 0.256
O 0.137 0.462 0.971
P 0.682 0.634 0.584
O 0.134 0.464 0.577
Na 0.333 0.667 0.664
P 0.366 0.049 0.584
O 0.204 0.008 0.304
O 0.804 0.008 0.804
O 0.033 0.832 0.696
P 0.951 0.318 0.584
O 0.467 0.131 0.244
Y 0.667 0.333 0.188
O 0.137 0.675 0.471

DFT formation energy   -2.9974 eV/atom
Volume   1631.8 Å³ per cell
E   -0.5684 Ry per atom

2.
# Na10Y7NbP12O48

A relaxed structure of Na10Y7NbP12O48 (PBE-GGA, the Materials Project database).

Cell: 18.540 9.282 23.637 Å, 89.97 90.07 120.15°
Atoms (fractional coordinates):
O 0.160 0.471 0.757
O 0.646 0.867 0.971
O 0.239 0.364 0.135
Na 0.661 0.666 0.671
O 0.415 0.011 0.802
Na 0.333 0.323 0.837
O 0.677 0.494 0.077
Na 0.014 0.333 0.082
Na 0.514 0.333 0.083
Na 0.000 0.999 0.495
O 0.940 0.361 0.637
Nb 0.501 0.003 0.852
O 0.070 0.493 0.579
P 0.833 0.036 0.082
O 0.919 0.296 0.254
O 0.927 0.306 0.531
O 0.158 0.847 0.257
Y 0.332 0.341 0.186
O 0.833 0.525 0.919
Na 0.666 0.679 0.171
P 0.854 0.706 0.252
P 0.821 0.968 0.416
O 0.009 0.181 0.903
P 0.316 0.963 0.416
O 0.729 0.308 0.034
Y 0.163 0.667 0.818
O 0.828 0.140 0.421
O 0.847 0.148 0.031
O 0.512 0.221 0.193
O 0.426 0.520 0.421
O 0.265 0.876 0.363
O 0.411 0.806 0.588
O 0.442 0.521 0.135
O 0.082 0.983 0.903
O 0.568 0.692 0.473
O 0.492 0.807 0.088
O 0.427 0.305 0.532
O 0.760 0.875 0.367
O 0.589 0.185 0.414
O 0.770 0.836 0.758
O 0.674 0.876 0.865
O 0.725 0.140 0.527
O 0.992 0.178 0.589
O 0.008 0.838 0.403
O 0.943 0.521 0.136
O 0.735 0.169 0.246
O 0.411 0.014 0.088
O 0.571 0.493 0.578
P 0.321 0.674 0.913
P 0.981 0.334 0.584
Na 0.668 0.033 0.414
P 0.184 0.335 0.082
P 0.686 0.037 0.582
Y 0.163 0.660 0.316
O 0.494 0.818 0.801
P 0.163 0.359 0.416
O 0.391 0.806 0.197
O 0.419 0.309 0.245
O 0.820 0.525 0.641
Y 0.663 0.667 0.818
Na 0.163 0.654 0.171
O 0.674 0.467 0.363
Na 0.161 0.667 0.671
O 0.581 0.470 0.253
P 0.516 0.358 0.915
Y 0.500 0.997 0.153
O 0.338 0.527 0.247
O 0.754 0.648 0.580
>>>

1.
# NaYNbP3O12

A relaxed structure of NaYNbP3O12 (PBE-GGA, the Materials Project database).

Cell: 9.012 9.012 23.198 Å, 90.00 90.00 120.00°
Atoms (fractional coordinates):
O 0.190 0.046 0.589
O 0.834 0.301 0.529
O 0.522 0.379 0.422
O 0.366 0.867 0.863
O 0.134 0.670 0.077
Y 0.333 0.667 0.521
O 0.856 0.046 0.089
P 0.016 0.300 0.251
O 0.470 0.129 0.637
O 0.992 0.196 0.304
O 0.470 0.341 0.137
O 0.871 0.530 0.137
O 0.204 0.196 0.804
P 0.700 0.984 0.751
O 0.857 0.379 0.922
P 0.033 0.382 0.917
P 0.285 0.300 0.751
O 0.501 0.634 0.863
O 0.190 0.144 0.089
O 0.992 0.796 0.804
P 0.700 0.715 0.251
O 0.330 0.866 0.577
O 0.287 0.811 0.256
O 0.997 0.797 0.411
O 0.536 0.866 0.077
O 0.189 0.476 0.256
P 0.349 0.967 0.917
O 0.997 0.200 0.911
Nb 0.667 0.333 0.981
O 0.203 0.200 0.411
Na 0.000 0.000 0.997
O 0.538 0.863 0.471
P 0.618 0.651 0.917
Na 0.333 0.667 0.164
P 0.349 0.382 0.417
P 0.016 0.715 0.751
O 0.954 0.810 0.089
O 0.869 0.336 0.244
Na 0.000 0.000 0.497
O 0.800 0.003 0.411
O 0.203 0.003 0.911
P 0.951 0.634 0.084
O 0.325 0.462 0.471
O 0.466 0.301 0.029
Nb 0.333 0.667 0.315
O 0.800 0.797 0.911
O 0.467 0.336 0.744
O 0.856 0.810 0.589
O 0.501 0.867 0.363
O 0.621 0.478 0.922
Y 0.000 0.000 0.855
Y 0.333 0.667 0.021
Y 0.667 0.333 0.688
O 0.133 0.499 0.863
O 0.799 0.832 0.196
O 0.699 0.534 0.529
Nb 0.333 0.667 0.815
O 0.954 0.144 0.589
Na 0.667 0.333 0.330
O 0.366 0.499 0.363
O 0.871 0.341 0.637
P 0.033 0.651 0.417
O 0.168 0.967 0.196
O 0.664 0.131 0.744
O 0.804 0.796 0.304
Nb 0.000 0.000 0.648
O 0.659 0.129 0.137
O 0.033 0.201 0.196
O 0.857 0.478 0.422
O 0.869 0.533 0.744
Y 0.000 0.000 0.355
Nb 0.667 0.333 0.481
O 0.524 0.811 0.756
O 0.834 0.534 0.029
O 0.699 0.166 0.029
Na 0.667 0.333 0.830
O 0.799 0.967 0.696
O 0.538 0.675 0.971
P 0.618 0.967 0.417
O 0.621 0.143 0.422
O 0.522 0.143 0.922